Alternative Information Center
09-feb-2011 23:52 ECT

Freedom Flotilla II to Commemorate 1st Anniversary of Deadly Raid
By Tania Kepler

• The piece is interrupted by data records:
____________
# 1
Entry from Alexandria: a relaxed KLiInBr3 crystal (GGA-PBE).

Lattice parameters (Å, degrees): 9.9538 4.3962 9.9690 90.00 94.41 90.00
With the nearest neighbours (Å) after each atom.
Space group P2_1/m (No. 11)
Symmetry-distinct sites (fractional):
K 0.1847 0.2500 0.1465 [2 per cell]  7 Br 3.31-3.63
Li 0.4098 0.7500 0.9067 [2 per cell]  4 Br 2.50-2.59
In 0.1776 0.2500 0.6269 [2 per cell]  3 Br 3.03-3.29
Br 0.1273 0.7500 0.3832 [2 per cell]  3 In 3.03-3.29, 2 K 3.31
Br 0.1574 0.7500 0.8859 [2 per cell]  1 Li 2.50
Br 0.4762 0.7500 0.1612 [2 per cell]  3 Li 2.57-2.59

Fermi-level density of states = 0.0000 states/eV per atom
final energy = -37.110 eV/cell
energy relative to the elements, uncorrected = -1298 meV/atom

# 2
Entry from Alexandria: a relaxed Na2FeBRh crystal (GGA-PBE).

Lattice parameters (Å, degrees): 5.2730 5.2730 4.3694 90.00 90.00 90.00
With the nearest neighbours (Å) after each atom.
Space group P4/mmm (No. 123)
Symmetry-distinct sites (fractional):
Na 0.0000 0.5000 0.0000 [2 per cell]  2 Fe 2.64
Fe 0.0000 0.0000 0.0000 [1 per cell]  2 Rh 2.18
B 0.5000 0.5000 0.5000 [1 per cell]  8 Na 3.42, 4 Rh 3.73
Rh 0.0000 0.0000 0.5000 [1 per cell]  2 Fe 2.18

Fermi-level density of states = 1.1223 states/eV per atom
final energy = -16.692 eV/cell


Entry 1:
Entry from Alexandria: crystalline RbSrTlAg2 at its relaxed geometry (PBE).

Unit cell a=5.6528 b=6.1459 c=5.6528 alpha=90.00 beta=90.00 gamma=90.00
With the nearest neighbours (Å) after each atom.
Sites, in units of the cell vectors:
Tl1 0.0000 0.0000 0.0000  4 Ag 2.83, 2 Sr 3.07
Rb1 0.5000 0.5000 0.5000  4 Sr 4.00, 8 Ag 4.18
Ag1 0.5000 0.0000 0.0000  2 Tl 2.83
Ag2 0.0000 0.0000 0.5000  2 Tl 2.83
Sr1 0.0000 0.5000 0.0000  2 Tl 3.07

Computed properties:
SG = No. 123
E_tot = -1.932 eV per atom
energy relative to the elements = 20.5 kJ per mole of atoms


Entry 2:
Entry from Alexandria: crystalline Ca3BW at its relaxed geometry (PBE).

Unit cell a=5.4597 b=5.4597 c=5.4597 alpha=90.00 beta=90.00 gamma=90.00
With the nearest neighbours (Å) after each atom.
Sites, in units of the cell vectors:
Ca1 0.0000 0.5000 0.0000  2 W 2.73
Ca2 0.0000 0.0000 0.5000  2 W 2.73
Ca3 0.5000 0.0000 0.0000  2 W 2.73
W1 0.0000 0.0000 0.0000  6 Ca 2.73
B1 0.5000 0.5000 0.5000  12 Ca 3.86

Computed properties:
SG = No. 221
E_tot = -3.296 eV per atom
energy relative to the elements = 176.7 kJ per mole of atoms
excess energy over the best structure of this formula in the dataset = 551 meV/atom


Which value of E_tot does entry 2 give?
-3.296 eV per atom


Which of these has the highest E_tot?
RbSrTlAg2


Number 1 is which compound?
RbSrTlAg2


Look up the energy relative to the elements of the first one.
20.5 kJ per mole of atoms


The following is a GGA-PBE calculation of a relaxed structure of Hf3TiIr, from Alexandria via LeMat-Bulk.

For the energy above the lowest structure with this stoichiometry, the calculation gives 0 meV/atom.
____________
• The data records stop here:

February 9, 2011

The Freedom Flotilla II will sail for Gaza during the last two weeks of May 2011, to commemorate the anniversary of the deadly attack on the first Freedom Flotilla on 31 May 2010, which left nine activists dead.

(Data records from another source follow)
=====
First-principles (GGA-PBE) data for a geometry-optimized SnBP2Ir structure, as listed in the Alexandria database.

Structure (extended XYZ):
```
5
Lattice="-4.168 1.031 1.044 -1.918 -4.704 -3.014 0.305 -2.466 3.654" Properties=species:S:1:pos:R:3 pbc="T T T"
P -2.084 0.515 0.522
Ir 0.000 0.000 0.000
P 0.153 -1.233 1.827
B -2.890 -3.070 0.842
Sn -0.959 -2.352 -1.507
```

Calculated values
Its spin magnetization is 0.0 μB/cell. The density of states at the Fermi level comes out at 3.07 states/eV per cell. As for the space group: P4/mmm, No. 123. The value obtained for the energy is -4.862 eV per atom.



First-principles (GGA-PBE) data for a geometry-optimized TbBPIr6 structure, as listed in the Alexandria database.

Structure (extended XYZ):
```
18
Lattice="8.452 0.000 0.000 0.000 6.212 0.000 -4.226 -3.106 5.612" Properties=species:S:1:pos:R:3 pbc="T T T"
Ir 4.226 1.553 1.791
P 4.226 3.106 0.000
Ir 2.304 3.236 1.366
Ir 0.000 1.553 3.821
Tb 4.226 1.553 4.954
Ir 2.304 -0.130 1.366
Ir 1.922 -0.130 4.246
Ir 6.149 3.236 1.366
Ir -1.922 -0.130 4.246
Ir -1.922 3.236 4.246
Tb 0.000 1.553 0.658
Ir 4.226 -1.553 3.362
B -2.113 -1.553 2.806
Ir 0.000 4.659 2.250
Ir 6.149 -0.130 1.366
P 4.226 0.000 0.000
Ir 1.922 3.236 4.246
B 2.113 -1.553 2.806
```

Calculated values
Its spin magnetization is 0.0 μB/cell. The density of states at the Fermi level comes out at 15.66 states/eV per cell. As for the space group: Imma, No. 74. The value obtained for the energy is -7.811 eV per atom.



First-principles (GGA-PBE) data for a geometry-optimized ThBPIr6 structure, as listed in the Alexandria database.

Structure (extended XYZ):
```
18
Lattice="6.908 0.000 0.000 0.000 8.101 0.000 -3.454 -4.051 5.522" Properties=species:S:1:pos:R:3 pbc="T T T"
P -1.727 -2.025 2.761
Ir 1.506 -0.184 4.126
B 3.454 0.000 0.000
Ir 0.000 6.076 1.190
Ir 4.960 4.235 1.396
Ir 0.000 2.025 4.927
Ir 1.948 -0.184 1.396
B 3.454 4.051 0.000
Ir 3.454 -2.025 4.332
Ir -1.506 4.235 4.126
Ir -1.506 -0.184 4.126
Th 3.454 2.025 3.639
Ir 3.454 2.025 0.596
Th 0.000 2.025 1.883
P 1.727 -2.025 2.761
Ir 4.960 -0.184 1.396
Ir 1.506 4.235 4.126
Ir 1.948 4.235 1.396
```

Calculated values
Its spin magnetization is 0.0 μB/cell. The density of states at the Fermi level comes out at 15.75 states/eV per cell. As for the space group: Imma, No. 74. The value obtained for the energy is -8.225 eV per atom.



First-principles (GGA-PBE) data for a geometry-optimized Ti2BPIr structure, as listed in the Alexandria database.

Structure (extended XYZ):
```
5
Lattice="-3.816 -2.253 1.926 2.354 -3.567 0.492 1.339 1.491 4.397" Properties=species:S:1:pos:R:3 pbc="T T T"
P 1.177 -1.783 0.246
Ir 0.000 0.000 0.000
Ti 0.670 0.745 2.198
B -0.061 -2.164 3.408
Ti -1.908 -1.126 0.963
```

Calculated values
Its spin magnetization is 0.0 μB/cell. The density of states at the Fermi level comes out at 4.57 states/eV per cell. As for the space group: P4/mmm, No. 123. The value obtained for the energy is -6.348 eV per atom.
=====
(Here the text continues)

The International Coalition of the Freedom Flotilla II met in Madrid, Spain from the 4-6th of February to discuss the upcoming journey. The meeting, organized by the host delegation Rumbo a Gaza, was attended by delegates from organizations in Algeria, Canada, Scotland, Spain, France, Greece, Holland, Ireland, Italy, Jordan, Kuwait, Malaysia, Norway, Sweden, Switzerland and Turkey.

"We have at least 15 different groups right now at one or two boats each," said Huwaida Arraf, chairperson of the Free Gaza Movement, one of the leading nongovernmental organizations in the effort. "Every meeting we have, we get one or two new country-based networks or coalitions that want to join."

The flotilla will be sailing to Gaza from southern Turkey, and IHH, the Turkish humanitarian organization, has reported that European parliamentarians, Arab and Turkish parliamentarians will also be joining the flotilla regardless of the potential threat of Israeli force.

According to organizers, the Freedom Flotilla II will have at least twice as many boats as last year, more volunteers, and more aid for the people in Gaza.

Israeli Special Forces attacked the Freedom Flotilla convoy in 2010, boarded the Turkish ship the Mavi Marama, and killed 9 Turkish citizens and injured dozens more.

Next to the entry, the page also holds data records
........
# 1
# PBE-GGA PaTi2P4, optimized geometry
data_PaTi2P4
_chemical_formula_sum 'Pa4 Ti8 P16'
_cell_length_a 3.693
_cell_length_b 11.443
_cell_length_c 11.849
_cell_angle_alpha 90.00
_cell_angle_beta 90.00
_cell_angle_gamma 90.00
_symmetry_space_group_name_H-M 'C m c m'
_symmetry_Int_Tables_number 63
_symmetry_space_group_name_Hall '-C 2c 2'
loop_
_atom_site_label
_atom_site_fract_x
_atom_site_fract_y
_atom_site_fract_z
_atom_site_occupancy
Pa1 0.000 0.110 0.250 1
Ti1 0.000 0.367 0.055 1
P1 0.000 0.000 0.000 1
P2 0.000 0.263 0.626 1
P3 0.000 0.431 0.250 1
# * calculated formation energy: -0.986 eV/atom

---

# 2
# PBE-GGA PaTiP2, optimized geometry
data_PaTiP2
_chemical_formula_sum 'Pa3 Ti3 P6'
_cell_length_a 3.7101
_cell_length_b 3.7101
_cell_length_c 19.1152
_cell_angle_alpha 90.00
_cell_angle_beta 90.00
_cell_angle_gamma 120.00
_symmetry_space_group_name_H-M 'R 3 m'
_symmetry_Int_Tables_number 160
_symmetry_space_group_name_Hall 'R 3 -2"'
loop_
_atom_site_label
_atom_site_fract_x
_atom_site_fract_y
_atom_site_fract_z
_atom_site_occupancy
Pa1 0.0000 0.0000 0.0000 1
Ti1 0.0000 0.0000 0.1761 1
P1 0.0000 0.0000 0.4305 1
P2 0.0000 0.0000 0.5758 1
# * calculated formation energy: -1.061 eV/atom

---

# 3
# PBE-GGA PaTiP2, optimized geometry
data_PaTiP2
_chemical_formula_sum 'Pa3 Ti3 P6'
_cell_length_a 3.8015
_cell_length_b 3.8015
_cell_length_c 17.8417
_cell_angle_alpha 90.00
_cell_angle_beta 90.00
_cell_angle_gamma 120.00
_symmetry_space_group_name_H-M 'R -3 m'
_symmetry_Int_Tables_number 166
_symmetry_space_group_name_Hall '-R 3 2"'
loop_
_atom_site_label
_atom_site_fract_x
_atom_site_fract_y
_atom_site_fract_z
_atom_site_occupancy
Pa1 0.0000 0.0000 0.0000 1
Ti1 0.0000 0.0000 0.5000 1
P1 0.0000 0.0000 0.2395 1
# * calculated formation energy: -1.212 eV/atom

---

# 4
# PBE-GGA PaTiP, optimized geometry
data_PaTiP
_chemical_formula_sum 'Pa1 Ti1 P1'
_cell_length_a 4.3134
_cell_length_b 4.3134
_cell_length_c 3.5601
_cell_angle_alpha 90.00
_cell_angle_beta 90.00
_cell_angle_gamma 120.00
_symmetry_space_group_name_H-M 'P -6 m 2'
_symmetry_Int_Tables_number 187
_symmetry_space_group_name_Hall 'P -6 2'
loop_
_atom_site_label
_atom_site_fract_x
_atom_site_fract_y
_atom_site_fract_z
_atom_site_occupancy
Pa1 0.0000 0.0000 0.0000 1
Ti1 0.3333 0.6667 0.5000 1
P1 0.6667 0.3333 0.5000 1
# * calculated formation energy: -0.575 eV/atom

---

# 5
# PBE-GGA Pa2TiP3, optimized geometry
data_Pa2TiP3
_chemical_formula_sum 'Pa2 Ti1 P3'
_cell_length_a 3.8125
_cell_length_b 3.8125
_cell_length_c 9.4057
_cell_angle_alpha 90.00
_cell_angle_beta 90.00
_cell_angle_gamma 120.00
_symmetry_space_group_name_H-M 'P -3 m 1'
_symmetry_Int_Tables_number 164
_symmetry_space_group_name_Hall '-P 3 2"'
loop_
_atom_site_label
_atom_site_fract_x
_atom_site_fract_y
_atom_site_fract_z
_atom_site_occupancy
Pa1 0.3333 0.6667 0.1814 1
Ti1 0.0000 0.0000 0.5000 1
P1 0.0000 0.0000 0.0000 1
P2 0.3333 0.6667 0.6390 1
# * calculated formation energy: -1.242 eV/atom

---

# 6
........
Back to the entry

The situation in Gaza, which has been dire for some time due to the Israeli military blockade, significantly worsened following Israel’s military attack Operation Cast Lead. The 22-day military strike reduced much of Gaza's infrastructure and homes to rubble, and killed some 1,400 Palestinians, the majority of whom were civilians. The population is still reeling and in desperate need of supplies..

According to the UNHRC’s "Report of the Special Rapporteur on the situation of human rights in the Palestinian territories", published in January, Rapporteur Richard Falk notes: "the situation of the civilian population in Gaza continues to be of critical concern. In 2010, Israeli uses of force resulted in 58 Palestinians killed in Gaza (including 22 civilians) plus 233 Palestinians injured (including 208 civilians)."

"Israel has declared a buffer zone that extends for 1,500 metres into Gaza from the border fence (comprising 17 per cent of Gaza), and Israeli military personnel fire at farmers and children who are pursuing normal peaceful activities close to the border," the report continues. "These characteristics of the ongoing Israeli relationship to Gaza are strongly confirmatory of the legal and factual assessment that Gaza remains an occupied territory."